........
Entry 1:
Density functional theory data (GGA+U) for an optimized crystal structure of LiFe2P2HO8.

**Total energy**: -6.753 eV per atom

a = 5.0268 Å, b = 8.6352 Å, c = 7.7820 Å
α = 89.99°, β = 104.77°, γ = 90.00°
With the nearest neighbours (Å) after each atom.
Atoms (fractional coordinates):
Fe: 0.8935 0.6540 0.3205  4 O 1.99-2.16
Fe: 0.3795 0.8426 0.8360  4 O 1.99-2.08
Fe: 0.6064 0.1540 0.1794  4 O 1.99-2.16
Fe: 0.1207 0.3425 0.6641  4 O 1.99-2.08
O: 0.4924 0.7036 0.1659  1 P 1.55
O: 0.6367 0.6712 0.8187  1 P 1.53
O: 0.5086 0.2954 0.8279  1 P 1.54
O: 0.0075 0.2035 0.3338  1 P 1.55
O: 0.8632 0.1713 0.6813  1 P 1.53
O: 0.7761 0.0655 0.9698  1 H 1.05
O: 0.0849 0.5316 0.8194  1 P 1.53
O: 0.3514 0.3293 0.1808  1 P 1.54
O: 0.1487 0.8292 0.3192  1 P 1.54
O: 0.8917 0.4594 0.1700  1 P 1.55
O: 0.9917 0.7953 0.6723  1 P 1.54
O: 0.2510 0.9497 0.0410  1 H 1.46, 1 P 1.60
O: 0.7238 0.5657 0.5301  1 H 1.05
O: 0.4147 0.0317 0.6806  1 P 1.53
O: 0.6085 0.9593 0.3301  1 P 1.55
O: 0.2491 0.4495 0.4590  1 H 1.46, 1 P 1.60
H: 0.5235 0.5191 0.5033  1 O 1.05
H: 0.9766 0.0191 0.9967  1 O 1.05
P: 0.1253 0.3561 0.2793  4 O 1.54-1.60
P: 0.3747 0.8561 0.2207  4 O 1.54-1.60
P: 0.6368 0.1457 0.7776  4 O 1.53-1.63
P: 0.8631 0.6457 0.7224  4 O 1.53-1.63
Li: 0.4916 0.4960 0.0029  6 O 2.12-2.33
Li: 0.0084 0.9960 0.4971  6 O 2.12-2.33



Entry 2:
Density functional theory data (GGA+U) for an optimized crystal structure of LiFePH2O5.

**Total energy**: -6.251 eV per atom

a = 5.1148 Å, b = 8.1611 Å, c = 11.1512 Å
α = 90.00°, β = 90.00°, γ = 90.00°
With the nearest neighbours (Å) after each atom.
Atoms (fractional coordinates):
O: 0.4953 0.4325 0.3066  1 P 1.56
O: 0.1473 0.3266 0.4505  1 P 1.55
O: 0.9953 0.9325 0.1934  1 P 1.56
O: 0.5736 0.4089 0.6664  1 P 1.56
O: 0.0688 0.1834 0.7269  1 P 1.55
O: 0.6473 0.8266 0.0495  1 P 1.55
O: 0.6870 0.0951 0.5175  2 H 0.98-0.99
O: 0.1473 0.1734 0.9505  1 P 1.55
O: 0.0736 0.5911 0.3336  1 P 1.56
O: 0.9953 0.5675 0.6934  1 P 1.56
O: 0.6870 0.4049 0.0175  2 H 0.98-0.99
O: 0.5688 0.8166 0.2731  1 P 1.55
O: 0.0688 0.3166 0.2269  1 P 1.55
O: 0.4953 0.0675 0.8066  1 P 1.56
O: 0.6473 0.6734 0.5495  1 P 1.55
O: 0.1870 0.5951 0.9825  2 H 0.98-0.99
O: 0.5688 0.6834 0.7731  1 P 1.55
O: 0.0736 0.9089 0.8336  1 P 1.56
O: 0.1870 0.9049 0.4825  2 H 0.98-0.99
O: 0.5736 0.0911 0.1664  1 P 1.56
H: 0.6502 0.1823 0.4595  1 O 0.98
H: 0.3641 0.9439 0.5024  1 O 0.99
H: 0.6502 0.3177 0.9595  1 O 0.98
H: 0.3641 0.5561 0.0024  1 O 0.99
H: 0.1502 0.6823 0.0405  1 O 0.98
H: 0.1502 0.8177 0.5405  1 O 0.98
H: 0.8641 0.4439 0.9976  1 O 0.99
H: 0.8641 0.0561 0.4976  1 O 0.99
Fe: 0.6875 0.6283 0.3774  4 O 1.97-2.06
Fe: 0.6875 0.8717 0.8774  4 O 1.97-2.06
Fe: 0.1875 0.1283 0.1226  4 O 1.97-2.06
Fe: 0.1875 0.3717 0.6226  4 O 1.97-2.06
Li: 0.6971 0.3173 0.1876  4 O 1.93-2.03
Li: 0.1971 0.8173 0.3124  4 O 1.93-2.03
Li: 0.1971 0.6827 0.8124  4 O 1.93-2.03
Li: 0.6971 0.1827 0.6876  4 O 1.93-2.03
P: 0.6954 0.5839 0.6697  4 O 1.55-1.56
P: 0.6954 0.9161 0.1697  4 O 1.55-1.56
P: 0.1954 0.4161 0.3303  4 O 1.55-1.56
P: 0.1954 0.0839 0.8303  4 O 1.55-1.56



Results for ΔH_f (0 K): -2278, -2089 (in meV per atom, following the order of the records).
Results for distance to the lowest polymorph of the same formula: 0.0089, 0.0039 (in eV/atom, following the order of the records).

----------

Entry 1:
Entry from Materials Project: a relaxed structure of MgP3W3O13 (PBE with a Hubbard U). Values from VASP.

```
&SYSTEM
  ibrav = 0, nat = 40, ntyp = 4
/
ATOMIC_SPECIES
Mg 24.30 Mg.upf
P 30.97 P.upf
W 183.84 W.upf
O 16.00 O.upf
CELL_PARAMETERS angstrom
-5.064 0.194 -4.371
-4.071 -5.098 4.490
-5.001 6.875 6.100
ATOMIC_POSITIONS crystal
Mg 0.750 0.396 0.182
Mg 0.250 0.604 0.818
P 0.250 0.784 0.508
P 0.750 0.216 0.492
P 0.250 0.266 0.765
P 0.750 0.734 0.235
P 0.750 0.676 0.897
P 0.250 0.324 0.103
W 0.250 0.643 0.206
W 0.750 0.357 0.794
W 0.250 0.232 0.434
W 0.500 0.000 0.000
W 0.750 0.768 0.566
W 0.000 0.000 0.000
O 0.750 0.635 0.755
O 0.569 0.257 0.398
O 0.250 0.196 0.640
........

Your job: give back the whole of the data earlier on unchanged.

Entry 1:
Density functional theory data (GGA+U) for an optimized crystal structure of LiFe2P2HO8.

**Total energy**: -6.753 eV per atom

a = 5.0268 Å, b = 8.6352 Å, c = 7.7820 Å
α = 89.99°, β = 104.77°, γ = 90.00°
With the nearest neighbours (Å) after each atom.
Atoms (fractional coordinates):
Fe: 0.8935 0.6540 0.3205  4 O 1.99-2.16
Fe: 0.3795 0.8426 0.8360  4 O 1.99-2.08
Fe: 0.6064 0.1540 0.1794  4 O 1.99-2.16
Fe: 0.1207 0.3425 0.6641  4 O 1.99-2.08
O: 0.4924 0.7036 0.1659  1 P 1.55
O: 0.6367 0.6712 0.8187  1 P 1.53
O: 0.5086 0.2954 0.8279  1 P 1.54
O: 0.0075 0.2035 0.3338  1 P 1.55
O: 0.8632 0.1713 0.6813  1 P 1.53
O: 0.7761 0.0655 0.9698  1 H 1.05
O: 0.0849 0.5316 0.8194  1 P 1.53
O: 0.3514 0.3293 0.1808  1 P 1.54
O: 0.1487 0.8292 0.3192  1 P 1.54
O: 0.8917 0.4594 0.1700  1 P 1.55
O: 0.9917 0.7953 0.6723  1 P 1.54
O: 0.2510 0.9497 0.0410  1 H 1.46, 1 P 1.60
O: 0.7238 0.5657 0.5301  1 H 1.05
O: 0.4147 0.0317 0.6806  1 P 1.53
O: 0.6085 0.9593 0.3301  1 P 1.55
O: 0.2491 0.4495 0.4590  1 H 1.46, 1 P 1.60
H: 0.5235 0.5191 0.5033  1 O 1.05
H: 0.9766 0.0191 0.9967  1 O 1.05
P: 0.1253 0.3561 0.2793  4 O 1.54-1.60
P: 0.3747 0.8561 0.2207  4 O 1.54-1.60
P: 0.6368 0.1457 0.7776  4 O 1.53-1.63
P: 0.8631 0.6457 0.7224  4 O 1.53-1.63
Li: 0.4916 0.4960 0.0029  6 O 2.12-2.33
Li: 0.0084 0.9960 0.4971  6 O 2.12-2.33



Entry 2:
Density functional theory data (GGA+U) for an optimized crystal structure of LiFePH2O5.

**Total energy**: -6.251 eV per atom

a = 5.1148 Å, b = 8.1611 Å, c = 11.1512 Å
α = 90.00°, β = 90.00°, γ = 90.00°
With the nearest neighbours (Å) after each atom.
Atoms (fractional coordinates):
O: 0.4953 0.4325 0.3066  1 P 1.56
O: 0.1473 0.3266 0.4505  1 P 1.55
O: 0.9953 0.9325 0.1934  1 P 1.56
O: 0.5736 0.4089 0.6664  1 P 1.56
O: 0.0688 0.1834 0.7269  1 P 1.55
O: 0.6473 0.8266 0.0495  1 P 1.55
O: 0.6870 0.0951 0.5175  2 H 0.98-0.99
O: 0.1473 0.1734 0.9505  1 P 1.55
O: 0.0736 0.5911 0.3336  1 P 1.56
O: 0.9953 0.5675 0.6934  1 P 1.56
O: 0.6870 0.4049 0.0175  2 H 0.98-0.99
O: 0.5688 0.8166 0.2731  1 P 1.55
O: 0.0688 0.3166 0.2269  1 P 1.55
O: 0.4953 0.0675 0.8066  1 P 1.56
O: 0.6473 0.6734 0.5495  1 P 1.55
O: 0.1870 0.5951 0.9825  2 H 0.98-0.99
O: 0.5688 0.6834 0.7731  1 P 1.55
O: 0.0736 0.9089 0.8336  1 P 1.56
O: 0.1870 0.9049 0.4825  2 H 0.98-0.99
O: 0.5736 0.0911 0.1664  1 P 1.56
H: 0.6502 0.1823 0.4595  1 O 0.98
H: 0.3641 0.9439 0.5024  1 O 0.99
H: 0.6502 0.3177 0.9595  1 O 0.98
H: 0.3641 0.5561 0.0024  1 O 0.99
H: 0.1502 0.6823 0.0405  1 O 0.98
H: 0.1502 0.8177 0.5405  1 O 0.98
H: 0.8641 0.4439 0.9976  1 O 0.99
H: 0.8641 0.0561 0.4976  1 O 0.99
Fe: 0.6875 0.6283 0.3774  4 O 1.97-2.06
Fe: 0.6875 0.8717 0.8774  4 O 1.97-2.06
Fe: 0.1875 0.1283 0.1226  4 O 1.97-2.06
Fe: 0.1875 0.3717 0.6226  4 O 1.97-2.06
Li: 0.6971 0.3173 0.1876  4 O 1.93-2.03
Li: 0.1971 0.8173 0.3124  4 O 1.93-2.03
Li: 0.1971 0.6827 0.8124  4 O 1.93-2.03
Li: 0.6971 0.1827 0.6876  4 O 1.93-2.03
P: 0.6954 0.5839 0.6697  4 O 1.55-1.56
P: 0.6954 0.9161 0.1697  4 O 1.55-1.56
P: 0.1954 0.4161 0.3303  4 O 1.55-1.56
P: 0.1954 0.0839 0.8303  4 O 1.55-1.56



Results for ΔH_f (0 K): -2278, -2089 (in meV per atom, following the order of the records).
Results for distance to the lowest polymorph of the same formula: 0.0089, 0.0039 (in eV/atom, following the order of the records).

----------

Entry 1:
Entry from Materials Project: a relaxed structure of MgP3W3O13 (PBE with a Hubbard U). Values from VASP.

```
&SYSTEM
  ibrav = 0, nat = 40, ntyp = 4
/
ATOMIC_SPECIES
Mg 24.30 Mg.upf
P 30.97 P.upf
W 183.84 W.upf
O 16.00 O.upf
CELL_PARAMETERS angstrom
-5.064 0.194 -4.371
-4.071 -5.098 4.490
-5.001 6.875 6.100
ATOMIC_POSITIONS crystal
Mg 0.750 0.396 0.182
Mg 0.250 0.604 0.818
P 0.250 0.784 0.508
P 0.750 0.216 0.492
P 0.250 0.266 0.765
P 0.750 0.734 0.235
P 0.750 0.676 0.897
P 0.250 0.324 0.103
W 0.250 0.643 0.206
W 0.750 0.357 0.794
W 0.250 0.232 0.434
W 0.500 0.000 0.000
W 0.750 0.768 0.566
W 0.000 0.000 0.000
O 0.750 0.635 0.755
O 0.569 0.257 0.398
O 0.250 0.196 0.640